To do:
The reader should print all of the block further below with every line break kept.

File:
- - -
Here is Ni2Sn4Au after structural relaxation from the Materials Project. Energies are from meta-GGA r2SCAN.

E_tot	-174.8	eV/f.u.
formation energy from the elements	-0.18	eV per atom
SG	No. 166

Geometry as POSCAR:
```
Ni2Sn4Au
1.0
2.120 1.224 8.874
-2.120 1.224 8.874
0.000 -2.448 8.874
Ni Sn Au
2 4 1
direct
0.099 0.099 0.099 Ni
0.901 0.901 0.901 Ni
0.200 0.200 0.200 Sn
0.389 0.389 0.389 Sn
0.611 0.611 0.611 Sn
0.800 0.800 0.800 Sn
0.000 0.000 0.000 Au
```

----------

Record 1
Hg3Sb | PBE | optimized geometry

```
data_Hg3Sb
_chemical_formula_sum 'Hg3 Sb1'
_symmetry_space_group_name_H-M 'P 1'
_symmetry_Int_Tables_number 1
_symmetry_space_group_name_Hall 'P 1'
_cell_length_a 6.2475
_cell_length_b 6.2475
_cell_length_c 6.2475
_cell_angle_alpha 138.74
_cell_angle_beta 138.74
_cell_angle_gamma 59.77
loop_
_atom_site_label
_atom_site_type_symbol
_atom_site_fract_x
_atom_site_fract_y
_atom_site_fract_z
Hg1 Hg 0.7500 0.2500 0.5000
Hg2 Hg 0.2500 0.7500 0.5000
Hg3 Hg 0.5000 0.5000 0.0000
Sb1 Sb 0.0000 0.0000 0.0000
```

Results
relative energy among the computed polymorphs: 0 meV per atom
corrected total energy (MP2020 scheme): -1.1532 eV per atom
symmetry: I4/mmm

Record 2
SiO2 | PBE | optimized geometry

```
data_SiO2
_chemical_formula_sum 'Si30 O60'
_symmetry_space_group_name_H-M 'P 1'
_symmetry_Int_Tables_number 1
_symmetry_space_group_name_Hall 'P 1'
_cell_length_a 11.2358
_cell_length_b 11.1201
_cell_length_c 11.5075
_cell_angle_alpha 90.41
_cell_angle_beta 90.75
_cell_angle_gamma 89.58
loop_
_atom_site_label
_atom_site_type_symbol
_atom_site_fract_x
_atom_site_fract_y
_atom_site_fract_z
Si1 Si 0.1607 0.5152 0.2022
Si2 Si 0.7006 0.0908 0.8144
Si3 Si 0.1451 0.6052 0.9532
Si4 Si 0.9734 0.7533 0.0901
Si5 Si 0.1360 0.7921 0.2830
Si6 Si 0.9095 0.9135 0.7125
Si7 Si 0.2779 0.7711 0.6321
Si8 Si 0.1759 0.3884 0.5425
Si9 Si 0.0812 0.8863 0.5235
Si10 Si 0.0943 0.0552 0.8340
Si11 Si 0.3522 0.4929 0.3661
Si12 Si 0.3376 0.1064 0.9276
Si13 Si 0.5234 0.0578 0.0160
Si14 Si 0.7454 0.7308 0.6031
Si15 Si 0.7811 0.5055 0.4416
Si16 Si 0.2897 0.3192 0.7646
Si17 Si 0.8967 0.2569 0.8901
Si18 Si 0.3662 0.5843 0.8164
Si19 Si 0.6214 0.6943 0.8292
Si20 Si 0.6244 0.9100 0.4225
Si21 Si 0.5686 0.3106 0.4222
Si22 Si 0.0573 0.4282 0.7732
Si23 Si 0.2624 0.0214 0.6350
Si24 Si 0.5237 0.1105 0.5985
Si25 Si 0.8425 0.2841 0.1606
Si26 Si 0.7979 0.5693 0.1914
Si27 Si 0.3876 0.7712 0.3791
Si28 Si 0.7347 0.7247 0.0002
Si29 Si 0.6484 0.1022 0.2437
Si30 Si 0.9986 0.3550 0.3570
O1 O 0.2839 0.6321 0.9234
O2 O 0.6811 0.4007 0.4384
O3 O 0.7460 0.1753 0.1677
O4 O 0.3576 0.7810 0.5160
O5 O 0.9303 0.3746 0.8129
O6 O 0.1880 0.9865 0.5158
O7 O 0.2513 0.4884 0.4695
O8 O 0.6993 0.6445 0.1138
O9 O 0.8508 0.8094 0.0310
O10 O 0.1345 0.7723 0.6006
O11 O 0.0770 0.5564 0.8373
O12 O 0.0562 0.8323 0.3946
O13 O 0.7448 0.6311 0.8852
O14 O 0.6463 0.0601 0.9417
O15 O 0.1986 0.0619 0.9368
O16 O 0.1586 0.3339 0.8229
O17 O 0.7700 0.5933 0.3281
O18 O 0.7966 0.9942 0.7591
O19 O 0.9086 0.4347 0.4375
O20 O 0.9911 0.1496 0.8668
O21 O 0.4244 0.9832 0.9328
O22 O 0.9260 0.6296 0.1545
O23 O 0.4240 0.1730 0.0283
O24 O 0.3805 0.0946 0.6043
O25 O 0.5037 0.6152 0.8427
O26 O 0.5133 0.8401 0.3574
O27 O 0.0568 0.4368 0.2580
O28 O 0.6231 0.7992 0.9366
O29 O 0.5622 0.0310 0.1502
O30 O 0.9648 0.9494 0.5843
O31 O 0.9282 0.2556 0.2758
O32 O 0.0210 0.9283 0.8076
O33 O 0.0491 0.8430 0.1771
O34 O 0.2768 0.8318 0.3015
O35 O 0.5729 0.0022 0.5185
O36 O 0.2716 0.3129 0.6224
O37 O 0.4541 0.3935 0.3910
O38 O 0.3649 0.4393 0.7978
O39 O 0.3515 0.1994 0.8180
O40 O 0.7709 0.5938 0.5554
O41 O 0.2896 0.4593 0.2409
O42 O 0.1016 0.3048 0.4473
O43 O 0.0693 0.7237 0.9895
O44 O 0.6323 0.7317 0.6932
O45 O 0.8996 0.2792 0.0309
O46 O 0.4072 0.6276 0.3539
O47 O 0.8583 0.7782 0.6835
O48 O 0.3168 0.6507 0.6996
O49 O 0.7914 0.4233 0.1715
O50 O 0.6964 0.9919 0.3278
O51 O 0.1637 0.0915 0.7148
O52 O 0.7676 0.2185 0.8371
O53 O 0.5510 0.2422 0.5449
O54 O 0.5836 0.2071 0.3217
O55 O 0.7133 0.8167 0.4917
O56 O 0.3023 0.8971 0.7043
- - -

Solution:
Here is Ni2Sn4Au after structural relaxation from the Materials Project. Energies are from meta-GGA r2SCAN.

E_tot	-174.8	eV/f.u.
formation energy from the elements	-0.18	eV per atom
SG	No. 166

Geometry as POSCAR:
```
Ni2Sn4Au
1.0
2.120 1.224 8.874
-2.120 1.224 8.874
0.000 -2.448 8.874
Ni Sn Au
2 4 1
direct
0.099 0.099 0.099 Ni
0.901 0.901 0.901 Ni
0.200 0.200 0.200 Sn
0.389 0.389 0.389 Sn
0.611 0.611 0.611 Sn
0.800 0.800 0.800 Sn
0.000 0.000 0.000 Au
```

----------

Record 1
Hg3Sb | PBE | optimized geometry

```
data_Hg3Sb
_chemical_formula_sum 'Hg3 Sb1'
_symmetry_space_group_name_H-M 'P 1'
_symmetry_Int_Tables_number 1
_symmetry_space_group_name_Hall 'P 1'
_cell_length_a 6.2475
_cell_length_b 6.2475
_cell_length_c 6.2475
_cell_angle_alpha 138.74
_cell_angle_beta 138.74
_cell_angle_gamma 59.77
loop_
_atom_site_label
_atom_site_type_symbol
_atom_site_fract_x
_atom_site_fract_y
_atom_site_fract_z
Hg1 Hg 0.7500 0.2500 0.5000
Hg2 Hg 0.2500 0.7500 0.5000
Hg3 Hg 0.5000 0.5000 0.0000
Sb1 Sb 0.0000 0.0000 0.0000
```

Results
relative energy among the computed polymorphs: 0 meV per atom
corrected total energy (MP2020 scheme): -1.1532 eV per atom
symmetry: I4/mmm

Record 2
SiO2 | PBE | optimized geometry

```
data_SiO2
_chemical_formula_sum 'Si30 O60'
_symmetry_space_group_name_H-M 'P 1'
_symmetry_Int_Tables_number 1
_symmetry_space_group_name_Hall 'P 1'
_cell_length_a 11.2358
_cell_length_b 11.1201
_cell_length_c 11.5075
_cell_angle_alpha 90.41
_cell_angle_beta 90.75
_cell_angle_gamma 89.58
loop_
_atom_site_label
_atom_site_type_symbol
_atom_site_fract_x
_atom_site_fract_y
_atom_site_fract_z
Si1 Si 0.1607 0.5152 0.2022
Si2 Si 0.7006 0.0908 0.8144
Si3 Si 0.1451 0.6052 0.9532
Si4 Si 0.9734 0.7533 0.0901
Si5 Si 0.1360 0.7921 0.2830
Si6 Si 0.9095 0.9135 0.7125
Si7 Si 0.2779 0.7711 0.6321
Si8 Si 0.1759 0.3884 0.5425
Si9 Si 0.0812 0.8863 0.5235
Si10 Si 0.0943 0.0552 0.8340
Si11 Si 0.3522 0.4929 0.3661
Si12 Si 0.3376 0.1064 0.9276
Si13 Si 0.5234 0.0578 0.0160
Si14 Si 0.7454 0.7308 0.6031
Si15 Si 0.7811 0.5055 0.4416
Si16 Si 0.2897 0.3192 0.7646
Si17 Si 0.8967 0.2569 0.8901
Si18 Si 0.3662 0.5843 0.8164
Si19 Si 0.6214 0.6943 0.8292
Si20 Si 0.6244 0.9100 0.4225
Si21 Si 0.5686 0.3106 0.4222
Si22 Si 0.0573 0.4282 0.7732
Si23 Si 0.2624 0.0214 0.6350
Si24 Si 0.5237 0.1105 0.5985
Si25 Si 0.8425 0.2841 0.1606
Si26 Si 0.7979 0.5693 0.1914
Si27 Si 0.3876 0.7712 0.3791
Si28 Si 0.7347 0.7247 0.0002
Si29 Si 0.6484 0.1022 0.2437
Si30 Si 0.9986 0.3550 0.3570
O1 O 0.2839 0.6321 0.9234
O2 O 0.6811 0.4007 0.4384
O3 O 0.7460 0.1753 0.1677
O4 O 0.3576 0.7810 0.5160
O5 O 0.9303 0.3746 0.8129
O6 O 0.1880 0.9865 0.5158
O7 O 0.2513 0.4884 0.4695
O8 O 0.6993 0.6445 0.1138
O9 O 0.8508 0.8094 0.0310
O10 O 0.1345 0.7723 0.6006
O11 O 0.0770 0.5564 0.8373
O12 O 0.0562 0.8323 0.3946
O13 O 0.7448 0.6311 0.8852
O14 O 0.6463 0.0601 0.9417
O15 O 0.1986 0.0619 0.9368
O16 O 0.1586 0.3339 0.8229
O17 O 0.7700 0.5933 0.3281
O18 O 0.7966 0.9942 0.7591
O19 O 0.9086 0.4347 0.4375
O20 O 0.9911 0.1496 0.8668
O21 O 0.4244 0.9832 0.9328
O22 O 0.9260 0.6296 0.1545
O23 O 0.4240 0.1730 0.0283
O24 O 0.3805 0.0946 0.6043
O25 O 0.5037 0.6152 0.8427
O26 O 0.5133 0.8401 0.3574
O27 O 0.0568 0.4368 0.2580
O28 O 0.6231 0.7992 0.9366
O29 O 0.5622 0.0310 0.1502
O30 O 0.9648 0.9494 0.5843
O31 O 0.9282 0.2556 0.2758
O32 O 0.0210 0.9283 0.8076
O33 O 0.0491 0.8430 0.1771
O34 O 0.2768 0.8318 0.3015
O35 O 0.5729 0.0022 0.5185
O36 O 0.2716 0.3129 0.6224
O37 O 0.4541 0.3935 0.3910
O38 O 0.3649 0.4393 0.7978
O39 O 0.3515 0.1994 0.8180
O40 O 0.7709 0.5938 0.5554
O41 O 0.2896 0.4593 0.2409
O42 O 0.1016 0.3048 0.4473
O43 O 0.0693 0.7237 0.9895
O44 O 0.6323 0.7317 0.6932
O45 O 0.8996 0.2792 0.0309
O46 O 0.4072 0.6276 0.3539
O47 O 0.8583 0.7782 0.6835
O48 O 0.3168 0.6507 0.6996
O49 O 0.7914 0.4233 0.1715
O50 O 0.6964 0.9919 0.3278
O51 O 0.1637 0.0915 0.7148
O52 O 0.7676 0.2185 0.8371
O53 O 0.5510 0.2422 0.5449
O54 O 0.5836 0.2071 0.3217
O55 O 0.7133 0.8167 0.4917
O56 O 0.3023 0.8971 0.7043